When asked about the secret to their success, many celebrities and profitable business people credit the power of positive self-talk and obsessively envisioning their own success as a great help for actually going out there and achieving it.
However, as Jessica Chatfield shows us, this approach doesn’t only work for the rich and famous. It can have a powerful impact on the lives of everyone, no matter how young or old.
This popular video shows how one little girl, Jessica Chatfield, in the playful spirit of a child, has discovered what positive words can do for her day.
She may be using affirmations unknowingly, but the result is still the same! She feels good. She has become her own greatest cheerleader! We can all learn from this.
____________
Ca2Ac2Pr3: computed powder diffraction line list (Cu Ka), based on a structure optimized by DFT (PBE).

Structural model:
Lattice parameters (Å, degrees): 5.7285 26.1057 3.7430 90.00 90.00 90.00
Element x y z (fractional)
1 Ca 0.0000 0.2118 0.0000
2 Ca 0.0000 0.7882 0.0000
3 Ca 0.5000 0.2882 0.0000
4 Ca 0.5000 0.7118 0.0000
5 Ac 0.0000 0.3593 0.5000
6 Ac 0.0000 0.6407 0.5000
7 Ac 0.5000 0.1407 0.5000
8 Ac 0.5000 0.8593 0.5000
9 Pr 0.0000 0.0685 0.0000
10 Pr 0.0000 0.5000 0.5000
11 Pr 0.0000 0.9315 0.0000
12 Pr 0.5000 0.0000 0.5000
13 Pr 0.5000 0.4315 0.0000
14 Pr 0.5000 0.5685 0.0000

Largest 12 diffraction maxima, sorted by position, 15 to 90 degrees two-theta:
18.54°, intensity 20, (1 3 0); 28.56°, intensity 93, (1 7 0); 28.69°, intensity 100, (1 1 1); 31.23°, intensity 37, (2 0 0); 31.53°, intensity 33, (0 6 1); 36.53°, intensity 31, (0 8 1); 44.97°, intensity 25, (2 6 1); 48.81°, intensity 39, (0 14 0); 53.99°, intensity 33, (3 7 0); 57.39°, intensity 26, (1 7 2); 60.88°, intensity 18, (1 15 1); 78.61°, intensity 13, (3 15 1)

=====

# 1
Structure and theoretical powder X-ray diffraction pattern of SmCdAu4 (a structure optimized by DFT (PBE); a wavelength of 1.5418 Å).

Top 10 peaks for 10° ≤ 2θ ≤ 90°, in order of falling intensity:
h k l  d_spacing  Position (°2θ)  I_rel
1 2 1  2.498  35.9  100
2 0 -1  2.309  39.0  22
0 0 3  2.375  37.9  20
3 2 0  1.367  68.7  15
1 2 4  1.394  67.2  13
0 4 0  1.904  47.8  11
2 4 -1  1.469  63.3  10
1 6 1  1.185  81.2  9
0 4 3  1.485  62.5  9
2 0 -4  1.653  55.6  7

Crystal structure
Cell lengths 4.6187, 7.6147, 7.4831 Å; angles 90.00, 107.83, 90.00 degrees
Space group P2_1/m (No. 11)
Symmetry-distinct sites (fractional):
Sm (0.1681, 0.2500, 0.3354)
Cd (0.1629, 0.7500, 0.3255)
Au (0.0000, 0.0000, 0.0000)
Au (0.3445, 0.0187, 0.6898)
Au (0.4884, 0.7500, 0.9779)

---

# 2
Structure and theoretical powder X-ray diffraction pattern of Pm2CuBPt6 (a structure optimized by DFT (PBE); a wavelength of 1.5418 Å).

Top 10 peaks for 10° ≤ 2θ ≤ 90°, in order of falling intensity:
h k l  d_spacing  Position (°2θ)  I_rel
2 0 2  2.364  38.1  100
0 2 4  2.188  41.3  75
0 0 6  3.332  26.8  33
0 1 5  3.089  28.9  27
2 2 0  1.405  66.6  27
1 1 3  2.589  34.6  24
1 0 7  2.463  36.5  23
2 0 8  1.743  52.5  20
2 1 7  1.546  59.8  15
0 0 9  2.222  40.6  15

Crystal structure
Cell lengths 5.6190, 5.6190, 19.9932 Å; angles 90.00, 90.00, 120.00 degrees
Space group R-3m (No. 166, hexagonal axes)
Symmetry-distinct sites (fractional):
Pm (0.0000, 0.0000, 0.2086)
Cu (0.0000, 0.0000, 0.5000)
B (0.0000, 0.0000, 0.0000)
Pt (0.0090, 0.5045, 0.2680)

---

# 3
Structure and theoretical powder X-ray diffraction pattern of Na2AuI6 (a structure optimized by DFT (PBE); a wavelength of 1.5418 Å).

Top 10 peaks for 10° ≤ 2θ ≤ 90°, in order of falling intensity:
h k l  d_spacing  Position (°2θ)  I_rel
1 1 0  5.886  15.1  100
2 1 0  3.723  23.9  96
3 0 3  2.377  37.9  68
1 1 3  3.626  24.5  57
1 0 1  7.130  12.4  46
2 1 3  2.895  30.9  42
____________
An oldie but a goldie!
“Look I can be a shark. My whole house is great! I can do anything good. I like my school, I like my dad and my cousins. I like my aunts, I like my Allisons. I like my mom, I like my sisters. I like my hair and haircuts. I like my pajamas! I like my stuff. I like my room and I like my whole house! My whole house is great. I can do anything good. Yeah, yeah, yeah, yeah, yeah. I can do anything good. Better than anyone. Better than anyone….”
Jessica, the young star of this uplifting clip, clearly loves life and knows how to use her morning affirmations to start her day right.
This video is 50 seconds of pure positivity and can most definitely put a smile on your face. But most importantly of all, it shows the power of the positive spoken word, something we all need to learn from.
Her father, who uploaded the original video in 2009, captioned the video with: ‘Jessica has a day where she's feeling … really good about her life'.
Jessica is now considered a viral star, with the original video reaching over 21 Million views as of 2023. However, she has actively stayed away from the public eye since and is currently living in Los Angeles, California after graduating from Southern Methodist University in Dallas in 2019. With a double-major in business management and political science, Jess still claims to be a reasonably positive person.
“I don’t stand on the bathroom counter these days, but that video’s still a good representation of who I am!”
Jess's happiness and positivity also manifest themselves in her caring attitude; her friends call her the ‘mom' of their group due to her warm-hearted nature and daily check-ins.
When Refinery29 asked for an update on her affirmations in 2016, Jessica said,
“I like my friends and family. I like my school. I like my clothes. I like my shoes – oh no, this sounds so vapid! I like my books. I like my house. I like my sorority. I like my hair.”
“Awaken your mind for positive change, abundance and manifestion!”
Hopefully, by this point, you are feeling inspired and motivated to start, or continue, your affirmation routine. I personally recommend you spend 5 minutes in the morning repeating your favorite affirmations in a mirror.
I also think affirmation audios are great too. That's why I created my own affirmation guide and MP3 download! And I am giving it… to YOU.
No payment is needed, just the confidence to manifest your dream life!